Fields in the geodatabase that are linked to Lucity fields storing address information such as street direction, street prefix type, street name, street type, and street suffix should contain a domain that matches the contents of the LucityStreet Name List. This ensures data integrity and prevents invalid addresses from being updated in the desktop application. With the standard Lucity geodatabase, the following feature classes have fields that use street name domains: Water Meters, Water Backflow Devices, Water Service, Sewer Service, and Street Segments.
Check in Lucity to make sure the General > Street Name > Street Name List is up to date and that the Update Street List Indexes Toolkit function has been run recently.
All street name domains are created using the values as they are defined in the Lucity Street Name List. The following shows an example of what is created for each domain:
Street Direction (Lucity.StreetNameDirection)
Note: this domain will automatically get associated to all fields linked to a Lucity street direction field (typically *_ADR_DIR)
Street Prefix Type (Lucity.StreetNamePrefixType)
Note: this domain will automatically get associated to all fields linked to a Lucity street prefix direction field (typically *_ADR_PT)
Street Name (Lucity.StreetNameName)
Note: this domain will automatically get associated to all fields linked to a Lucity street name field (typically *_ADR_STR)
Street Type (Lucity.StreetNameType)
Note: this domain will automatically get associated to all fields linked to a Lucity street type field (typically *_ADR_TY)
Street Suffix (Lucity.StreetNameSuffix)
Note: this domain will automatically get associated to all fields linked to a Lucity street suffix field (typically *_ADR_SFX)
## Calculated crystals that have nothing to do with the entry
/*
a.
# PBE+U AlCo2O4, relaxed
data_AlCo2O4
_chemical_formula_sum 'Al2 Co4 O8'
_symmetry_space_group_name_H-M 'P 1'
_symmetry_Int_Tables_number 1
_symmetry_space_group_name_Hall 'P 1'
_cell_length_a 5.8478
_cell_length_b 5.8478
_cell_length_c 5.8478
_cell_angle_alpha 60.00
_cell_angle_beta 60.00
_cell_angle_gamma 60.00
loop_
_atom_site_label
_atom_site_type_symbol
_atom_site_fract_x
_atom_site_fract_y
_atom_site_fract_z
Al1 Al 0.1250 0.1250 0.1250
Al2 Al 0.8750 0.8750 0.8750
Co1 Co 0.0000 0.5000 0.5000
Co2 Co 0.5000 0.0000 0.5000
Co3 Co 0.5000 0.5000 0.0000
Co4 Co 0.5000 0.5000 0.5000
O1 O 0.2510 0.2510 0.2510
O2 O 0.2510 0.2510 0.7470
O3 O 0.2510 0.7470 0.2510
O4 O 0.2530 0.7490 0.7490
O5 O 0.7470 0.2510 0.2510
O6 O 0.7490 0.2530 0.7490
O7 O 0.7490 0.7490 0.2530
O8 O 0.7490 0.7490 0.7490
# Total moment (μB per formula unit): 7.000
# SG: Fd-3m

=====

b.
# PBE+U AlCo2O4, relaxed
data_AlCo2O4
_chemical_formula_sum 'Al2 Co4 O8'
_symmetry_space_group_name_H-M 'P 1'
_symmetry_Int_Tables_number 1
_symmetry_space_group_name_Hall 'P 1'
_cell_length_a 6.1409
_cell_length_b 6.1409
_cell_length_c 5.1559
_cell_angle_alpha 114.69
_cell_angle_beta 114.69
_cell_angle_gamma 107.32
loop_
_atom_site_label
_atom_site_type_symbol
_atom_site_fract_x
_atom_site_fract_y
_atom_site_fract_z
Al1 Al 0.1224 0.8776 0.7500
Al2 Al 0.8776 0.1224 0.2500
Co1 Co 0.0000 0.5000 0.0000
Co2 Co 0.5000 0.0000 0.5000
Co3 Co 0.5000 0.5000 0.0000
Co4 Co 0.5000 0.5000 0.5000
O1 O 0.1010 0.2795 0.7443
O2 O 0.1425 0.4629 0.3616
O3 O 0.2795 0.1010 0.2443
O4 O 0.4629 0.1425 0.8616
O5 O 0.5371 0.8575 0.1384
O6 O 0.7205 0.8990 0.7557
O7 O 0.8575 0.5371 0.6384
O8 O 0.8990 0.7205 0.2557
# Total moment (μB per formula unit): 3.000
# SG: C2/c

=====

Question: which arrangement is favored energetically? Ranking from most to least stable: a, b.

=====

a.
# PBE+U Al2Co2O7, relaxed
data_Al2Co2O7
_chemical_formula_sum 'Al4 Co4 O14'
_symmetry_space_group_name_H-M 'P 1'
_symmetry_Int_Tables_number 1
_symmetry_space_group_name_Hall 'P 1'
_cell_length_a 6.5319
_cell_length_b 6.5319
_cell_length_c 6.5319
_cell_angle_alpha 60.00
_cell_angle_beta 60.00
_cell_angle_gamma 60.00
loop_
_atom_site_label
_atom_site_type_symbol
_atom_site_fract_x
_atom_site_fract_y
_atom_site_fract_z
Al1 Al 0.0000 0.0000 0.0000
Al2 Al 0.0000 0.0000 0.5000
Al3 Al 0.0000 0.5000 0.0000
Al4 Al 0.5000 0.0000 0.0000
Co1 Co 0.0000 0.5000 0.5000
Co2 Co 0.5000 0.0000 0.5000
Co3 Co 0.5000 0.5000 0.0000
Co4 Co 0.5000 0.5000 0.5000
O1 O 0.1250 0.1250 0.1250
O2 O 0.1578 0.1578 0.5922
O3 O 0.1578 0.5922 0.1578
O4 O 0.1578 0.5922 0.5922
O5 O 0.4078 0.4078 0.8422
O6 O 0.4078 0.8422 0.4078
O7 O 0.4078 0.8422 0.8422
O8 O 0.5922 0.1578 0.1578
O9 O 0.5922 0.1578 0.5922
O10 O 0.5922 0.5922 0.1578
O11 O 0.8422 0.4078 0.4078
O12 O 0.8422 0.4078 0.8422
O13 O 0.8422 0.8422 0.4078
O14 O 0.8750 0.8750 0.8750
# Total moment (μB per formula unit): 2.000
# SG: Fd-3m

=====

b.
# PBE+U Al2Co2O7, relaxed
data_Al2Co2O7
_chemical_formula_sum 'Al4 Co4 O14'
*/
## End of the calculated crystals
Street Name Composite (Lucity.StreetNameComposite)
Note: this domain will automatically get associated to all GIS composite street name fields. These are GIS fields that have been mapped to Lucity using the composite option (green line shown below)
Street Name List (Lucity.StreetNameList)
Note: this domain will automatically get associated to all fields linked to a Lucity street list field (typically *_ADR_ID)
How To Update street name domains
In the Geodatabase configuration select the geodatabase from the tree located on the left.
Right-click on a feature class and go to Domains > Update Streen Name Domain(s). The following screen will appear.
This screen is asking the user to login as the Domain Owner. Domains within a geodatabase can only be edited by the original creator(domain owner). Often, not even system admin accounts can edit a domain if they weren't used to create it. Make an authentication choice and enter if username and password if needed. Click OK.
After this the a pop-up screen will appear for each Domain that can be configured.
The first five are domains for agencies that break their street name lists out into individuals fields. Skip the 6th one if you are using these.
The sixth domain is for agencies that use a single composite field that holds all the street name information. Skip the first five is you are using this one.
**Someone pasted records of crystals at this point:**
........
i:
# Ac3Ag PBE-GGA optimized geometry
# Mass density ... 8.70 g/cm3
data_Ac3Ag
_chemical_formula_sum 'Ac6 Ag2'
_cell_length_a 5.2040
_cell_length_b 5.2040
_cell_length_c 11.1221
_cell_angle_alpha 90.00
_cell_angle_beta 90.00
_cell_angle_gamma 90.00
_symmetry_space_group_name_H-M 'I 4/m m m'
_symmetry_Int_Tables_number 139
_symmetry_space_group_name_Hall '-I 4 2'
loop_
_atom_site_label
_atom_site_type_symbol
_atom_site_fract_x
_atom_site_fract_y
_atom_site_fract_z
_atom_site_occupancy
Ac1 Ac 0.0000 0.0000 0.0000 1
Ac2 Ac 0.0000 0.5000 0.2500 1
Ag1 Ag 0.0000 0.0000 0.5000 1

---

ii:
# Ac3Ag PBE-GGA optimized geometry
# Mass density ... 8.80 g/cm3
data_Ac3Ag
_chemical_formula_sum 'Ac6 Ag2'
_cell_length_a 7.7355
_cell_length_b 7.7355
_cell_length_c 5.7479
_cell_angle_alpha 90.00
_cell_angle_beta 90.00
_cell_angle_gamma 120.00
_symmetry_space_group_name_H-M 'P 63/m m c'
_symmetry_Int_Tables_number 194
_symmetry_space_group_name_Hall '-P 6c 2c'
loop_
_atom_site_label
_atom_site_type_symbol
_atom_site_fract_x
_atom_site_fract_y
_atom_site_fract_z
_atom_site_occupancy
Ac1 Ac 0.1752 0.3504 0.2500 1
Ag1 Ag 0.3333 0.6667 0.7500 1

---

Ranking the structures above by energy, i is first and the second is 7 meV/atom behind.
........
The last domain is used by both and configures a domain with a street name ID.
Choose a domain option and click OK. A series of messages similar to the following will appear:
Note: A message box will appearing asking for corresponding domain to be selected for the Street Direction, Street Prefix, Street Name, Street Type, Street Suffix, and Street Name ID.
Click Skip or Select to navigate through each dialog.
Note: When the Update GIS Domain tools are used the domains that are created, are sorted alphabetically by description instead of code.
Once all the dialog screens have been completed a validation screen will appear and run through the domain update.
A prompt will appear once the process is completed. Click "Ok" to finish.
Note: When the Update GIS Domain tools are used the domains are sorted alphabetically by description instead of code.